Yvette's Getting Married
Without Prejudice
Yvette's getting married, yaay, I feel like celebrating.
February 14 th next year, finally. I have waited soooooo long for this day. To Peter, the babies, Cruz and Acer's Dad. It will be simple and meaningful, can't wait. Peter is half her age, nearly, but Yvette has always looked like a teenager and they are in love.
God, that means I could marry Clint, he's only 25 years younger than me. Ha ha, I can't, anyway, he wants a family, kids, one day. But if I had to pick a partner it would be the youngest, too. Get them young and train them. I've only known him most of his life. Wonder what his Mum, would say ? I'm only joking I have no intention of marrying anyone.
I was married for 20 years, then engaged for 10 to Nev, then lived with someone for 5. That's enough sacrifice for anyone. Two I still speak to, amazingly. Me, Little Miss Bossy Boots. I would not wish my anality on anyone. I love being single, no one can tell me what to do. I hate that. I am happy for Yvette though, she wanted to be just like her Sisters. The ring, the dress, the whole
big deal.
If I know Yvette it will be to Billy Idols White Wedding. Just some friends and them, no big "do". She will probably have 2 witnesses and then her and Peter can go and have a massive holiday for a honeymoon. That will be heaven for the both of them. What will she wear ? Anything fits her. Maybe a simple slip like dress in satin. Very Kate Moss with probably thigh high white boots underneath. We are talking Yvette here. The Rebel Yell child.
Or maybe a tutu in pink and gold lame bodice, a copy of the first outfit she insisted buying herself at 8. She was determined to have it. A simple meal after of Maccas and sundaes. I hope Vicky, Peters Mum makes it. She has been so sick with cancer.
And I hope one of Yvette's seven boys gives her away. I always imagined them all walking her down the aisle. Her own Men In Black, aged, 23 to 2. So cute in a tux each. And sunnies. God Bless them and I wish them all the best,
And with a satisfying nod of fate, Clint rings and insists on coming over, lucky me
Mum x
Yvette's getting married, yaay, I feel like celebrating.
February 14 th next year, finally. I have waited soooooo long for this day. To Peter, the babies, Cruz and Acer's Dad. It will be simple and meaningful, can't wait. Peter is half her age, nearly, but Yvette has always looked like a teenager and they are in love.
Materials data that have nothing to do with the text
........
# 1
The following is a calculated powder X-ray diffraction pattern of Cs2Tl16In. It was derived from a DFT-relaxed cell (GGA-PBE, Alexandria), using Cu Kα.

Cell and atoms:
```
Cs2Tl16In
1.0
5.7583 3.3246 5.7114
-5.7583 3.3246 5.7114
0.0000 -6.6491 5.7114
Cs Tl In
2 16 1
direct
0.0000 0.0000 0.0000 Cs
0.3215 0.3215 0.3215 Cs
0.0132 0.0132 0.5119 Tl
0.0132 0.5119 0.0132 Tl
0.1547 0.6641 0.6641 Tl
0.3085 0.3085 0.8045 Tl
0.3085 0.8045 0.3085 Tl
0.3711 0.6602 0.9499 Tl
0.3711 0.9499 0.6602 Tl
0.5119 0.0132 0.0132 Tl
0.5642 0.5642 0.5642 Tl
0.6602 0.3711 0.9499 Tl
0.6602 0.9499 0.3711 Tl
0.6641 0.1547 0.6641 Tl
0.6641 0.6641 0.1547 Tl
0.8045 0.3085 0.3085 Tl
0.9499 0.3711 0.6602 Tl
0.9499 0.6602 0.3711 Tl
0.7553 0.7553 0.7553 In
```

Principal peaks in the range 15° ≤ 2θ ≤ 90°, low angle first:
15.39°, rel. 18; 26.82°, rel. 13; 27.45°, rel. 18; 31.10°, rel. 100; 31.32°, rel. 25; 31.67°, rel. 24; 34.90°, rel. 64; 35.08°, rel. 18; 55.26°, rel. 16; 55.64°, rel. 22


# 2
The following is a calculated powder X-ray diffraction pattern of Li2Bi2Pd4Au. It was derived from a DFT-relaxed cell (GGA-PBE, Alexandria), using Cu Kα.

Cell and atoms:
```
Li2Bi2Pd4Au
1.0
-3.3091 3.3091 3.8260
3.3091 -3.3091 3.8260
3.3091 3.3091 -3.8260
Li Bi Pd Au
2 2 4 1
direct
0.1947 0.1947 0.0000 Li
0.8053 0.8053 0.0000 Li
0.2500 0.7500 0.5000 Bi
0.7500 0.2500 0.5000 Bi
0.2175 0.2175 0.4351 Pd
0.2175 0.7825 0.0000 Pd
0.7825 0.2175 0.0000 Pd
0.7825 0.7825 0.5649 Pd
0.5000 0.5000 0.0000 Au
```

Principal peaks in the range 15° ≤ 2θ ≤ 90°, low angle first:
30.17°, rel. 100; 32.43°, rel. 33; 35.88°, rel. 64; 38.47°, rel. 67; 42.65°, rel. 20; 47.53°, rel. 21; 49.65°, rel. 41; 55.53°, rel. 23; 62.74°, rel. 36; 77.66°, rel. 25


# 3
The following is a calculated powder X-ray diffraction pattern of HgBi2Cl6. It was derived from a DFT-relaxed cell (GGA-PBE, Alexandria), using Cu Kα.

Cell and atoms:
```
HgBi2Cl6
1.0
10.1291 -6.1647 0.0000
10.1291 6.1647 0.0000
-0.6163 0.0000 7.0801
Hg Bi Cl
2 4 12
direct
0.0504 0.9496 0.7500 Hg
0.9496 0.0504 0.2500 Hg
0.1701 0.3376 0.9881 Bi
0.3376 0.1701 0.4881 Bi
0.6624 0.8299 0.5119 Bi
0.8299 0.6624 0.0119 Bi
0.0705 0.5852 0.8876 Cl
0.1068 0.2505 0.6479 Cl
0.2505 0.1068 0.1479 Cl
0.2702 0.3952 0.3214 Cl
0.3952 0.2702 0.8214 Cl
0.4148 0.9295 0.6124 Cl
0.5852 0.0705 0.3876 Cl
0.6048 0.7298 0.1786 Cl
0.7298 0.6048 0.6786 Cl
0.7495 0.8932 0.8521 Cl
0.8932 0.7495 0.3521 Cl
0.9295 0.4148 0.1124 Cl
```

Principal peaks in the range 15° ≤ 2θ ≤ 90°, low angle first:
15.00°, rel. 37; 15.40°, rel. 64; 17.58°, rel. 78; 18.82°, rel. 36; 22.78°, rel. 40; 25.64°, rel. 34; 27.40°, rel. 68; 27.87°, rel. 100; 34.34°, rel. 36; 39.37°, rel. 32


# 4
The following is a calculated powder X-ray diffraction pattern of CaLaPm14. It was derived from a DFT-relaxed cell (GGA-PBE, Alexandria), using Cu Kα.

Cell and atoms:
```
CaLaPm14
1.0
11.8203 0.0000 0.0000
0.0000 3.7093 6.4341
0.0000 -3.7093 6.4341
Ca La Pm
1 1 14
direct
0.0000 0.0000 0.0000 Ca
0.0000 0.4977 0.4977 La
........
Here the text continues
God, that means I could marry Clint, he's only 25 years younger than me. Ha ha, I can't, anyway, he wants a family, kids, one day. But if I had to pick a partner it would be the youngest, too. Get them young and train them. I've only known him most of his life. Wonder what his Mum, would say ? I'm only joking I have no intention of marrying anyone.
I was married for 20 years, then engaged for 10 to Nev, then lived with someone for 5. That's enough sacrifice for anyone. Two I still speak to, amazingly. Me, Little Miss Bossy Boots. I would not wish my anality on anyone. I love being single, no one can tell me what to do. I hate that. I am happy for Yvette though, she wanted to be just like her Sisters. The ring, the dress, the whole
big deal.
If I know Yvette it will be to Billy Idols White Wedding. Just some friends and them, no big "do". She will probably have 2 witnesses and then her and Peter can go and have a massive holiday for a honeymoon. That will be heaven for the both of them. What will she wear ? Anything fits her. Maybe a simple slip like dress in satin. Very Kate Moss with probably thigh high white boots underneath. We are talking Yvette here. The Rebel Yell child.
Or maybe a tutu in pink and gold lame bodice, a copy of the first outfit she insisted buying herself at 8. She was determined to have it. A simple meal after of Maccas and sundaes. I hope Vicky, Peters Mum makes it. She has been so sick with cancer.
And I hope one of Yvette's seven boys gives her away. I always imagined them all walking her down the aisle. Her own Men In Black, aged, 23 to 2. So cute in a tux each. And sunnies. God Bless them and I wish them all the best,
And with a satisfying nod of fate, Clint rings and insists on coming over, lucky me
Mum x